a Tiny description

a full time artist, stepmother, radio personality, and mom to an energetic Chug dog, tries to get through the days without committing a felonious act. My life is a rickety Zen circus.


Sunday, March 13, 2011

it is beautiful and wonderful and just amazing...how Caroline hung the show is just a wonder to me. if you look real carefully you'll notice some color patterns within the gallery. sneaky. so - friday night was the opening reception, and i always worry that no one will show up. especially since this weekend is the Big East tournament, the St. Patrick's day parade, and last but not least the Monster Truck competition. i bite my tongue. but - it was fabulous. the place would pack out, then ease up throughout the night. i am so thrilled that so many of my workmates came, and brought their families. one husband said he wouldn't miss it, after all the stories he's heard about me. say wha? but it was all goodness. sales were good for an opening night, and it was such a great feeling to do this with Elizabeth. her felted work is luscious, i tell you, just tasty goodness. AND has a huge picture on pg 18 of the STARS magazine today...go elizabeth! she is an amazing artist, and an incredible person. she needs a clone. the other artist featured in the show is Lynette Blake...her work makes you stand there slackjawed and drooling. you see something new every minute. she is someone who becomes a friend easily and truly. The amazing renegade seamstress herself, Helen Carter from Secret Lentil came down from her shop/studio to see the show (i was wearing one of her dresses). (love her clothes..."protective gear for your internal revolution). I just read this back and gawd it sounds like some 2D society page report. feh. here's why: i am exhausted. the schedule, as you may recall, was up at 4am friday after a teensy bit of sleep thursday due to a barking dog/monster under the bed issue. work till 4pm, then go to the reception. silly me forgot about the dinner portion iof the day, and really need to eat constantly for blood sugar issues. had some wine instead - it's a fruit, right? got myself home, and figured i'd be walking on my hands for a few days - who invented high heels?? up at 4am saturday to go in for a few hours of not-really-mandatory-but strongly-suggested-you-be-there work at the Big Girl job. new boss shows up late with the breakfast pizza that i was countinng on to Be There when i got to work, and thus avoid another blood sugar meltdown get the scissors away from her incident. it arrived, i ate, and realized how hungover i felt just from being tired and from smiling so much the night before like reverse botox. was scheduled till 11:45, but left at 11, as i remembered the parade traffic. ended up driving all the way to Dewitt, turning around, and attacking the highway through a different route. success. a day at the gallery ends in hysteria - caroline and i go to check out the Free Pile, and find some sort of speaker or radio or machine of some sort, and the manic glee in that girl as she snipped away parts and pieces for me - well, it was worth having to hold back the crowd that gathered to watch! husband spent the day knee deep in hops and cleaning out a room that will Very Soon become his new office. i am happy for him, really really happy. because that means i also get the whole Big Room! I make dinner somehow, and realize i left some of my metal booty at the gallery, bummer. snuggle on the couch around 7-ish. then it is 2am. then it is 7am. so that, my friends, is why this post sounds so cheesy. it will likely take me a few more days to fully process and recover. i was handed an incredible opportunity at the show, which will necessitate big courage of the leaping variety, and i am crazy ready for it! so my apologies for the flatline of a post. i will makke it up to you with pictures very soon, 'kay? now go fix your clocks.

1 comment:

Kim Mailhot said...

_Attached: data records_
/*
## Sm2BiO2 (r2SCAN)

Data for an optimized crystal structure of Sm2BiO2.

```
Sm2BiO2
1.0
-1.976 1.976 6.887
1.976 -1.976 6.887
1.976 1.976 -6.887
Sm Bi O
2 1 2
Cartesian
0.000 0.000 2.290
0.000 0.000 11.484
0.000 0.000 6.887
1.976 0.000 3.444
0.000 1.976 3.444
```

* magnetic moment: 0.000 μB/cell
* volume: 21.52 Å³/atom
* formation energy: -2898 meV per atom

----------

[1]
Material: Pr3Lu
Method: DFT, GGA-PBE
State: optimized geometry

## Properties
ΔE_f: 26.4 meV per atom
Space group: P6_3/mmc

a = 7.3440 Å, b = 7.3440 Å, c = 5.9816 Å
α = 90.00°, β = 90.00°, γ = 120.00°
Closest atoms and distances in Å follow each position.
Atoms (fractional coordinates):
Pr 0.1687 0.8313 0.2500  8 Pr 3.63-3.72, 4 Lu 3.65-3.67
Pr 0.3373 0.1687 0.7500  8 Pr 3.63-3.72, 4 Lu 3.65-3.67
Pr 0.8313 0.6627 0.7500  8 Pr 3.63-3.72, 4 Lu 3.65-3.67
Pr 0.1687 0.3373 0.2500  8 Pr 3.63-3.72, 4 Lu 3.65-3.67
Lu 0.3333 0.6667 0.7500  12 Pr 3.65-3.67
Pr 0.6627 0.8313 0.2500  8 Pr 3.63-3.72, 4 Lu 3.65-3.67
Lu 0.6667 0.3333 0.2500  12 Pr 3.65-3.67
Pr 0.8313 0.1687 0.7500  8 Pr 3.63-3.72, 4 Lu 3.65-3.67

---

[2]
Material: Sn2P5O15
Method: DFT, GGA-PBE
State: optimized geometry

## Properties
ΔE_f: -2425.8 meV per atom
M_tot: 1.0 μB/f.u.
Space group: Pc

a = 9.3506 Å, b = 5.4794 Å, c = 13.7487 Å
α = 66.98°, β = 90.00°, γ = 90.00°
Closest atoms and distances in Å follow each position.
Atoms (fractional coordinates):
O 0.1020 0.2454 0.6855  2 P 1.61-1.62
Sn 0.2874 0.9789 0.4206  3 O 2.22-2.25
O 0.0873 0.7658 0.8173  2 P 1.60-1.62
O 0.4942 0.7179 0.5749  1 P 1.51
O 0.8285 0.4218 0.4901  1 P 1.51
O 0.3550 0.2771 0.6228  2 P 1.60-1.61
O 0.6450 0.2771 0.1228  2 P 1.60-1.61
O 0.9054 0.9289 0.6736  1 P 1.51
Sn 0.7126 0.9789 0.9206  3 O 2.22-2.25
O 0.8093 0.9203 0.4554  1 P 1.51
O 0.5058 0.7179 0.0749  1 P 1.51
O 0.6103 0.6472 0.8282  1 P 1.49
O 0.5879 0.4256 0.2627  2 P 1.61-1.62
O 0.1673 0.6134 0.5141  1 P 1.50
O 0.9097 0.1168 0.8204  1 P 1.50
Sn 0.2894 0.0594 0.0721  5 O 2.16-2.30
P 0.8065 0.3240 0.0779  4 O 1.50-1.62
P 0.9884 0.0179 0.7483  4 O 1.50-1.62
O 0.1685 0.1249 0.5301  1 P 1.50
O 0.4539 0.2742 0.9568  1 P 1.52
O 0.8980 0.2454 0.1855  2 P 1.61-1.62
O 0.9127 0.7658 0.3173  2 P 1.60-1.62
Sn 0.7106 0.0594 0.5721  5 O 2.16-2.30
P 0.8028 0.7041 0.4135  4 O 1.51-1.61
P 0.5321 0.5169 0.3541  4 O 1.49-1.62
O 0.5461 0.2742 0.4568  1 P 1.52
O 0.4121 0.4256 0.7627  2 P 1.61-1.62
O 0.8327 0.6134 0.0141  1 P 1.50
P 0.1972 0.7041 0.9135  4 O 1.51-1.61
P 0.0116 0.0179 0.2483  4 O 1.50-1.62
O 0.0946 0.9289 0.1736  1 P 1.51
O 0.6116 0.2600 0.6747  1 P 1.52
O 0.3477 0.7301 0.8529  2 P 1.61-1.62
O 0.1715 0.4218 0.9901  1 P 1.51
O 0.3884 0.2600 0.1747  1 P 1.52
O 0.1907 0.9203 0.9554  1 P 1.51
O 0.0903 0.1168 0.3204  1 P 1.50
P 0.4679 0.5169 0.8541  4 O 1.49-1.62
O 0.6523 0.7301 0.3529  2 P 1.61-1.62
P 0.5204 0.4355 0.1530  4 O 1.51-1.62
P 0.4796 0.4355 0.6530  4 O 1.51-1.62
P 0.1935 0.3240 0.5779  4 O 1.50-1.62
O 0.8315 0.1249 0.0301  1 P 1.50
O 0.3897 0.6472 0.3282  1 P 1.49
*/

Congrats !!! So happy and excited for you. Bask in it, Gorgeous One.